**Work order:**
Could you reproduce every line further below that contains the word "Formula"?

**Input:**
=====
Formula: C2H3BrSi
Source: the OMol25 dataset
Level of theory: ωB97M-V/def2-TZVPD

Properties
* 2S+1: 1
* Kohn-Sham gap: 10.426 eV
* HOMO: -0.3757 Eh
* energy: -2941.45850 Ha
* structure (SMILES): C#C[SiH2]Br
* ΔE to the lowest compared entry with this formula, charge and spin: 2.4 kcal/mol

Each atom is followed by the atoms it is bonded to, with distances in Å.
Positions of all 7 atoms, in Å:
1 C -0.796 1.908 0.042  C2 1.227, H5 1.073
2 C -0.168 0.856 -0.007  C1 1.227, Si3 1.886
3 Si 0.845 -0.728 -0.151  C2 1.886, Br4 2.220, H6 1.591, H7 1.563
4 Br 2.839 0.229 0.041  Si3 2.220
5 H -1.572 2.573 -0.287  C1 1.073
6 H 0.933 -1.773 1.046  Si3 1.591
7 H 0.990 -1.482 -1.512  Si3 1.563

----------

Entry 1:
# C4H14O4S

A 4-piece molecular cluster, C4H14O4S overall (the ωB97M-V functional and the def2-TZVPD basis, OMol25).

Molar mass = 158.2 g/mol
Highest occupied orbital energy = -8.76 eV
Gap between HOMO and LUMO = 9.25 eV
SMILES string = O=CCCCS.O.O.O
E_LUMO = 0.4933 eV
Electronic energy = -859.9383 Ha

Geometry as XYZ:
```
23
Properties=species:S:1:pos:R:3:forces:R:3
O 0.0491 -0.7726 -2.0217 -0.2 0.1 0.0
C 0.8503 -1.5683 -1.6040 0.8 0.0 -0.4
C 1.6227 -1.3195 -0.3586 -1.1 0.2 1.5
C 0.6306 -1.1704 0.8495 1.2 0.1 -0.5
C 1.2410 -0.3240 1.9526 -0.5 -0.7 0.5
S 0.1840 -0.3351 3.4419 0.1 0.1 0.2
H 1.0876 -2.4442 -2.2159 -0.1 -0.5 0.0
H 2.1048 -0.3523 -0.4630 0.4 0.0 -0.2
H 2.3004 -2.1017 -0.0410 0.5 -0.1 -0.6
H -0.2472 -0.6906 0.5220 -1.1 0.5 -0.4
H 0.3816 -2.1585 1.2013 -0.1 -0.3 0.3
H 1.4268 0.7050 1.6427 0.1 -0.2 0.0
H 2.1386 -0.8250 2.3152 0.3 0.4 -0.1
H -0.8195 0.4122 2.9600 0.2 -0.1 -0.1
O -1.5088 1.0810 1.0154 0.0 -0.2 -0.1
H -2.1146 1.5166 1.6197 0.0 0.3 -0.3
H -1.2697 1.6843 0.2778 -0.1 0.2 0.4
O -0.7699 2.6098 -1.1244 0.1 0.6 0.8
H 0.0722 3.0212 -1.3376 -0.1 -0.4 -0.3
H -1.0389 1.9083 -1.7352 0.0 0.0 -0.5
O -2.1317 0.7424 -2.4623 0.5 -0.5 -0.4
H -2.7700 0.3103 -1.8926 -0.2 0.1 0.2
H -1.4193 0.0710 -2.5419 -0.5 0.4 0.0
```
Forces are in eV/Å.

---

Entry 2:
# C32H71ClN11O15S2

C32H71ClN11O15S2 as an isolated structure (the ωB97M-V functional and the def2-TZVPD basis, OMol25).

Molar mass = 949.6 g/mol
Highest occupied orbital energy = -6.12 eV
Gap between HOMO and LUMO = 7.57 eV
E_LUMO = 1.4546 eV
Charge = -1
Electronic energy = -4249.4573 Ha

Geometry as XYZ:
```
132
Properties=species:S:1:pos:R:3:forces:R:3
C -7.0304 2.1838 -1.4857 -0.5 0.5 -0.1
C -6.7081 1.8379 -0.0622 -0.3 0.1 0.7
O -7.5870 1.5394 0.7161 0.2 -0.2 -0.3
N -5.3464 1.8145 0.4142 0.0 -0.2 -0.6
C -4.6194 0.5927 0.0194 0.0 -0.3 0.3
S -4.4896 3.2342 0.1247 0.0 0.0 0.4
O -5.3208 4.2630 0.6966 0.0 -0.2 -0.2
O -4.2124 3.3574 -1.2934 0.1 0.0 0.0
N -3.2066 2.8317 0.9717 -0.1 0.6 -0.1
S -1.8753 3.6634 0.7118 0.5 0.0 0.6
O -2.0514 5.0447 0.3426 -0.3 -0.2 -0.1
O -0.9604 3.4090 1.8007 -0.2 -0.1 -0.2
C -1.1753 2.7947 -0.7080 0.2 -0.4 -0.2
C 0.0268 3.5003 -1.2425 -0.1 0.5 -0.2
O 0.0559 4.5316 -1.8318 0.1 -0.3 0.1
Cl 1.5549 2.6315 -0.9320 0.1 -0.1 -0.1
H -7.0430 1.2857 -2.1065 0.2 0.0 0.0
H -8.0457 2.5837 -1.4936 0.0 -0.1 0.0
H -6.3754 2.9336 -1.9177 0.3 -0.2 0.0
H -3.8545 0.7847 -0.7326 -0.1 0.0 -0.1
H -5.3182 -0.1541 -0.3665 0.0 0.1 -0.1
H -4.1438 0.1640 0.9026 0.1 0.1 -0.1
H -0.8992 1.8026 -0.3531 -0.1 0.1 0.1
H -1.9401 2.7290 -1.4852 0.0 0.2 0.1
C 1.4340 -0.5367 0.6799 0.1 0.0 -0.3
O 0.5855 0.2633 1.0070 -0.2 -0.1 0.2
N 2.1575 -1.2855 1.5402 0.0 -0.1 0.0
C 3.1606 -2.2347 1.0977 -0.3 0.2 -0.1
C 1.9053 -1.1226 2.9603 0.0 0.0 -0.1
H 1.6963 -0.7207 -0.3776 0.1 0.0 0.0
H 2.9051 -3.2427 1.4327 0.1 0.0 0.0
H 4.1322 -1.9740 1.5044 0.1 -0.1 0.0
H 3.2125 -2.2271 0.0085 0.0 0.0 0.0
H 0.8637 -1.3533 3.1899 0.0 0.0 0.0
H 2.0889 -0.0904 3.2623 0.0 0.0 0.0
H 2.5626 -1.7887 3.5140 0.0 0.0 0.0
C -1.2734 -1.9754 -3.5319 -0.1 0.0 -0.1
O -2.1731 -1.2227 -3.2137 0.0 0.0 0.0
N -0.4852 -2.6385 -2.6653 0.1 -0.2 0.0
C 0.5644 -3.5403 -3.0953 0.0 0.1 0.2
C -0.6966 -2.4417 -1.2413 -0.2 0.2 -0.2
H -1.0274 -2.1908 -4.5866 0.0 0.0 0.0
H 0.3905 -4.5392 -2.6898 0.1 0.0 -0.1
=====

**Result:**
Formula: C2H3BrSi